

After graduating from Su Shi University, Su Jing was in a bad mood and went back to his hometown to adjust his mood. However, he discovered that his own backyard had become the Galactic Garbage Station. Every day a large amount of trash is deposited into his backyard. Some came from the Tomb of God, Battle Through the Heavens, Coiling Dragon, One Piece, Naruto, Bleach, X-Men, Captain America, Iron Man, and other novels, animes, and Marvel universes. As the owner of the garbage station, Su Jing has the obligation to deal with this Garbage. At first, he thought it was a hard and unprofitable task, but he discovered that he has found the most beautiful and cushy job in the world. Before anyone says anything, I am the original translator of this novel/fanfic.. I am uploading it here to get a larger fanbase and to get some support on my Patreon (https://www.patreon.com/GGS6395)

DarkShadow95 · RPS同人
1409 Chs

Chapter 1157 Monster's Might

Honestly, after obtaining their newfound abilities, their egos had swelled and they had begun to believe that the task assigned by their boss was overly simple and could easily be accomplished.

However, witnessing the challenges their boss faced in dealing with Su Jing made them reconsider their initial assumptions.

As they approached the Su Family Village, they halted and bided their time. 

The entry is interrupted by records of crystals.
=====
The following is a calculated PXRD pattern of ZnPb2F6. It was derived from DFT lattice parameters and positions (GGA-PBE), using Cu Kα, 1.54184 Å.
Kinematic intensities with the Lorentz-polarization factor, no thermal factor.

Atomic structure:
Lattice parameters (Å, degrees): 5.7418 5.7418 16.4059 90.00 90.00 90.00
Atoms (fractional coordinates):
Zn 0.0000 0.0000 0.0000
Zn 0.0000 0.5000 0.5000
Zn 0.5000 0.0000 0.5000
Zn 0.5000 0.5000 0.0000
Pb 0.0118 0.0118 0.3428
Pb 0.0118 0.4882 0.8428
Pb 0.4882 0.0118 0.8428
Pb 0.4882 0.4882 0.3428
Pb 0.5118 0.5118 0.6572
Pb 0.5118 0.9882 0.1572
Pb 0.9882 0.5118 0.1572
Pb 0.9882 0.9882 0.6572
F 0.0631 0.0631 0.8806
F 0.0631 0.4369 0.3806
F 0.2500 0.2500 0.0398
F 0.2500 0.2500 0.2417
F 0.2500 0.2500 0.5398
F 0.2500 0.2500 0.7417
F 0.2500 0.7500 0.0000
F 0.2500 0.7500 0.2500
F 0.2500 0.7500 0.5000
F 0.2500 0.7500 0.7500
F 0.4369 0.0631 0.3806
F 0.4369 0.4369 0.8806
F 0.5631 0.5631 0.1194
F 0.5631 0.9369 0.6194
F 0.7500 0.2500 0.0000
F 0.7500 0.2500 0.2500
F 0.7500 0.2500 0.5000
F 0.7500 0.2500 0.7500
F 0.7500 0.7500 0.2583
F 0.7500 0.7500 0.4602
F 0.7500 0.7500 0.7583
F 0.7500 0.7500 0.9602
F 0.9369 0.5631 0.6194
F 0.9369 0.9369 0.1194

Top 10 peaks for 5 to 70 degrees two-theta, by intensity:
d = 3.260 Å, rel. 100.0, hkl 1 1 3; d = 1.723 Å, rel. 33.7, hkl 3 1 3; d = 2.871 Å, rel. 32.0, hkl 2 0 0; d = 2.030 Å, rel. 29.4, hkl 2 2 0; d = 1.980 Å, rel. 26.7, hkl 2 0 6; d = 2.352 Å, rel. 19.1, hkl 2 0 4; d = 1.663 Å, rel. 14.5, hkl 1 1 9; d = 2.734 Å, rel. 14.4, hkl 0 0 6; d = 1.630 Å, rel. 12.5, hkl 2 2 6; d = 3.941 Å, rel. 12.1, hkl 1 1 1

----------

No. 1
V5CuO12: theoretical powder diffraction line list (copper Kα), based on the GGA+U geometry in the Materials Project.

Crystal structure
a b c (Å): 6.767 6.773 11.843
angles (deg): 75.25 75.33 83.83
Atoms (fractional coordinates):
V 0.000 0.000 0.000
V 0.000 0.004 0.499
V 0.188 0.831 0.243
V 0.189 0.829 0.743
V 0.411 0.414 0.000
V 0.414 0.414 0.499
V 0.585 0.226 0.256
V 0.586 0.225 0.757
V 0.716 0.699 0.249
V 0.717 0.697 0.750
Cu 0.888 0.519 0.002
Cu 0.894 0.526 0.496
O 0.136 0.984 0.849
O 0.137 0.988 0.349
O 0.172 0.979 0.098
O 0.172 0.980 0.598
O 0.182 0.538 0.005
O 0.185 0.537 0.506
O 0.425 0.713 0.235
O 0.427 0.277 0.151
O 0.429 0.714 0.733
O 0.431 0.279 0.650
O 0.435 0.242 0.402
O 0.435 0.242 0.901
O 0.611 0.578 0.936
O 0.613 0.582 0.431
O 0.700 0.986 0.766
O 0.702 0.989 0.265
O 0.757 0.415 0.209
O 0.757 0.417 0.712
O 0.832 0.801 0.068
O 0.837 0.803 0.563
O 0.877 0.229 0.993
O 0.877 0.233 0.494
O 0.998 0.658 0.787
O 0.999 0.658 0.290

Main lines, low angle first (10° ≤ 2θ ≤ 90°):
- 13.54 deg, 6.541 Å, rel. 21.5
- 18.33 deg, 4.839 Å, rel. 45.9
- 19.63 deg, 4.522 Å, rel. 47.6
- 23.30 deg, 3.818 Å, rel. 28.0
- 28.20 deg, 3.164 Å, rel. 100.0
- 29.98 deg, 2.981 Å, rel. 62.5
- 32.16 deg, 2.783 Å, rel. 48.9
- 34.94 deg, 2.568 Å, rel. 27.1
- 45.01 deg, 2.014 Å, rel. 23.4
- 54.79 deg, 1.675 Å, rel. 19.5

No. 2
=====

Soon, Wu Ju caught up with them, and together, they proceeded towards the backyard of Su Jing's house, ensuring they didn't alert the villagers, taking a discreet path to reach their destination.

To their surprise, an eerie silence enveloped the surroundings as they reached their destination. According to their information, Su Jing's house should have been heavily guarded by doggies. 

Of course, they didn't regard the doggies as a significant threat. Even if they were Divine Dogs, they could dispatch them with a single blow.

"It's too quiet inside in here."

"Could there be a trap?"

"Su Jing himself is in Tokyo. What kind of trap could there be?"

"Caution is necessary."

They exercised caution, testing every step, and were wary of triggering any kind of trap. After confirming that there were no immediate dangers, they leaped one by one into the yard. 

With brute force, they forced open the front door of the ground floor and entered. The Undead Being had hastily fled from here, so he couldn't gather much information. However, it was evident that the coffin and Su Jing's secrets were located on the ground floor.

Xu Jing, Wu Ju, and the others stood dumbfounded as they surveyed the empty ground floor. Whose house boasted a ten-meter-high structure? Whose residence had alloy walls surrounding it from all sides? Something was definitely amiss.

Suddenly, the door slammed shut, startling them. Several figures materialized out of thin air on the eight trigrams stone at the center of the ground floor. 

These figures were a Giant Wolf, a Vine, a creature with the upper body of a woman and the lower body of a snake, a Colossal Octopus, a Squirrel with large ears…

Xu Jing, Wu Juan, and the rest of their group found themselves in a state of utter astonishment as a massive Wolf, Vine, Snake Woman, Massive Octopus, and Squirrel appeared before them. 

The rumors they had heard about the Battle Wolf did not do justice to its actual size. The Battle Wolf, standing over 2.5 meters tall, with a muscular physique and a fierce look in its eyes looked terrifying, this majestic creature surpassed even the grandest of legends.

The presence of the Vines, Snake Woman, and Massive Octopus left them speechless. How could such monstrous beings exist in their world?

As for the large-eared squirrel, it appeared harmless to both humans and animals. Its cuteness granted it immunity from the attention of the battling group.

"It seems we were expected," Xu Jing observed the situation and spoke, his voice tinged with a mix of curiosity and caution.

Wu Juan glanced at the extraordinary creatures and questioned, "What kind of monsters are those Vines and the snake-tailed beauty?"

Examining the Colossal Massive Octopus, another member of the group remarked, "That Octopus is surprisingly huge. Su Jing truly keeps some peculiar creatures."

Though Xu Jing, Wu Juan, and the others had grown more experienced and courageous over time, the sight of these formidable monsters still unsettled them. Yet, they refused to succumb to intimidation. 

Glimpsing at one another with unwavering determination, they charged forward in unison, displaying astonishing speed. The Squirrel, being the nimblest, initiated the first attack, launching ice projectiles from a safe distance. 

Simultaneously, the Man-Eating Vine deployed its own offensive strategy, releasing vines that sprawled across the area like the scattering petals of a Celestial flower. Both the squirrel and the vine served to restrain and support their allies.

The Battle Wolf, Snake Woman, and the Massive Octopus charged forward as well. The Battle Wolf engaged in a fierce confrontation with a tall, black-skinned man. 

In the fight, the black man swiftly changed direction and maneuvered himself to approach the Battle Wolf from the side. With his palm extended, shrouded in an ominous black mist, he aimed a strike at the wolf's abdomen.

However, despite its massive size, the Battle Wolf exhibited agility beyond expectation. Twisting its body with remarkable dexterity, it launched a claw strike in response.

The black man's expression contorted with surprise as he failed to evade in time. 

Raising his hand to block, the clash between the black mist on his palm and the Battle Wolf's claws was but momentary as a resounding thud echoed as the Battle Wolf's claws severed the black man's hand, leaving three deep wounds on his chest. 

Hurtling through the air, the black man was sent flying. Although the Battle Wolf bore a black mark on its paw, its injuries were minimal compared to its fallen opponent.

Having recently advanced to the Commander Level of Monster Beasts, the Battle Wolf now possessed formidable strength. Even if it were to face Bai Hetu, it would prove to be a challenging adversary. 

Moreover, the black man lacked the Undead Being's power within him; his temporary abilities came solely from the Undead. How could he compare to the Battle Wolf?

"Be careful, this wolf is strong!" The injured black man managed to shout, determined to continue fighting despite his severe wounds.

On the other side of the battlefield, a similarly arduous struggle unfolded. One of the black men failed to dodge the ice projectile hurled by the Big-Eared Squirrel, rendering him momentarily incapacitated. 

Seizing the opportunity, the Massive Octopus descended upon him, hurtling him against a Titanium Alloy wall with the force of a cannonball. The impact left a massive dent in the wall and caused blood to spew out from the wounded man.

The other two black men valiantly fought back against the Massive Octopus, yet they, too, found themselves in dire straits.

Meanwhile, another member of the group became entangled in the relentless grip of the Man-Eating Vine, unable to break free in time. Snake Woman Meng Mei'er seized the moment and delivered a devastating palm strike that crushed his chest bone.

The Monster Beast octopus was exceptionally powerful from the beginning, and after Su Jing's nurturing, it became even stronger. 

As for the Snake Woman Meng Mei'er, her time cultivating in the Spirit Beast pouch had finally led her to break through to the Fighter Realm, transforming her into an absolute powerhouse on Earth. 

Furthermore, her high intelligence allowed her to grasp the intricacies of footwork and palm techniques, making her an incredibly formidable opponent.

Novel is finished on my Patreon so you can read all the advance chapter till last on my patreon https://www.patreon.com/GGS6395